_Job_
Search the data further below for the word "GGA" and restate each line that has it.

_Data_
=====
No. 1
Density functional theory data (GGA+U) for SrMoIO4 after structural relaxation.

Cell: 7.291 7.291 7.358 Å, 78.47 78.47 56.60°
Fractional positions:
O 0.119 0.531 0.126
O 0.881 0.469 0.874
O 0.510 0.510 0.218
O 0.695 0.695 0.514
O 0.490 0.490 0.782
O 0.531 0.119 0.126
O 0.305 0.305 0.486
O 0.469 0.881 0.874
Mo 0.368 0.368 0.244
Mo 0.632 0.632 0.756
Sr 0.707 0.707 0.176
Sr 0.293 0.293 0.824
I 0.029 0.029 0.313
I 0.971 0.971 0.687

No. 2
Density functional theory data (GGA+U) for SrMoIO2 after structural relaxation.

Cell: 4.553 4.553 6.658 Å, 90.00 90.00 90.00°
Fractional positions:
I 0.000 0.000 0.500
Sr 0.000 0.000 0.000
O 0.000 0.500 0.000
O 0.500 0.000 0.000
Mo 0.500 0.500 0.500

Properties
The value obtained for the energy above the lowest structure with this stoichiometry is 899 meV per atom. Its density of states at the Fermi level is 0.99 states/eV per atom.

No. 3
Density functional theory data (GGA+U) for Sr2Mo2I2O5 after structural relaxation.

Cell: 4.105 4.105 14.981 Å, 97.87 97.87 90.00°
Fractional positions:
O 0.000 0.000 0.000
O 0.420 0.920 0.840
O 0.920 0.420 0.840
O 0.080 0.580 0.160
O 0.580 0.080 0.160
Sr 0.629 0.629 0.258
Sr 0.371 0.371 0.742
I 0.813 0.813 0.627
I 0.187 0.187 0.373
Mo 0.064 0.064 0.127
Mo 0.936 0.936 0.873

Properties
Its density of states at the Fermi level is 0.01 states/eV per atom.

No. 4
Density functional theory data (GGA+U) for TaMoI2O after structural relaxation.

Cell: 5.856 5.856 3.830 Å, 90.00 90.00 90.00°
Fractional positions:
I 0.500 0.000 0.000
I 0.000 0.500 0.000
Ta 0.500 0.500 0.500
Mo 0.000 0.000 0.000
O 0.000 0.000 0.500

Properties
The value obtained for the energy above the lowest structure with this stoichiometry is 724 meV per atom. Its density of states at the Fermi level is 0.70 states/eV per atom.

No. 5
Density functional theory data (GGA+U) for TaMoI2O after structural relaxation.

Cell: 5.838 5.838 3.908 Å, 90.00 90.00 90.00°
Fractional positions:
I 0.500 0.000 0.000
I 0.000 0.500 0.000
Mo 0.500 0.500 0.500
Ta 0.000 0.000 0.000
O 0.000 0.000 0.500

Properties
The value obtained for the energy above the lowest structure with this stoichiometry is 0 meV per atom. Its density of states at the Fermi level is 0.35 states/eV per atom.

No. 6
Density functional theory data (GGA+U) for TbMoIO4 after structural relaxation.

Cell: 6.558 6.558 7.135 Å, 76.57 76.57 67.34°
Fractional positions:
O 0.535 0.535 0.202
O 0.885 0.503 0.852
O 0.497 0.115 0.148
O 0.698 0.698 0.476
O 0.115 0.497 0.148
O 0.503 0.885 0.852
O 0.465 0.465 0.798
O 0.302 0.302 0.524
Mo 0.635 0.635 0.735
Mo 0.365 0.365 0.265
Tb 0.245 0.245 0.867
Tb 0.755 0.755 0.133
I 0.017 0.017 0.247
I 0.983 0.983 0.753

No. 7
Density functional theory data (GGA+U) for TcMoI2O after structural relaxation.

Cell: 5.922 5.922 3.883 Å, 90.00 90.00 90.00°
Fractional positions:
Tc 0.500 0.500 0.500
Mo 0.000 0.000 0.000
I 0.000 0.500 0.000
I 0.500 0.000 0.000
O 0.000 0.000 0.500

Properties
The value obtained for the energy above the lowest structure with this stoichiometry is 326 meV per atom. Its density of states at the Fermi level is 0.63 states/eV per atom.

No. 8
Density functional theory data (GGA+U) for TcMoI2O after structural relaxation.

Cell: 5.676 5.676 3.771 Å, 90.00 90.00 90.00°
Fractional positions:
Mo 0.500 0.500 0.500
I 0.500 0.000 0.000
I 0.000 0.500 0.000
Tc 0.000 0.000 0.000
O 0.000 0.000 0.500

Properties
The value obtained for the energy above the lowest structure with this stoichiometry is 0 meV per atom. Its density of states at the Fermi level is 0.34 states/eV per atom.

We obtain E_tot values of -86.484 -21.142 -65.451 -24.299 -27.917 -95.179 -23.424 -25.056 eV per cell for the records listed above, in that order.
We obtain magnetic moment values of 0.00 5.10 4.00 6.07 6.48 0.00 7.34 4.73 μB/cell for the records listed above, in that order.
We obtain ρ values of 3.91 4.12 4.70 6.91 6.82 5.44 5.66 6.34 g/cm³ for the records listed above, in that order.

----------

# TbBeTl
=====

_Response_
Density functional theory data (GGA+U) for SrMoIO4 after structural relaxation.
Density functional theory data (GGA+U) for SrMoIO2 after structural relaxation.
Density functional theory data (GGA+U) for Sr2Mo2I2O5 after structural relaxation.
Density functional theory data (GGA+U) for TaMoI2O after structural relaxation.
Density functional theory data (GGA+U) for TaMoI2O after structural relaxation.
Density functional theory data (GGA+U) for TbMoIO4 after structural relaxation.
Density functional theory data (GGA+U) for TcMoI2O after structural relaxation.
Density functional theory data (GGA+U) for TcMoI2O after structural relaxation.